I am 28, a university graduate living and working in Nairobi. I have been single for the last two years for reasons I really don't understand. I am tall, dark and ladies say that I am handsome but after several dates they stop picking my calls and the relationships end. This frustrates me because I really try to be nice and do all the things that a man should do but they still don't want to date me. I don't ask for sex so I don't think this could be the reason, I take them out, many times I give them some money but they still end up leaving me. I am starting to wonder what it is that women really want from men and I am ready to give in because I want to settle down in marriage now. Please help me understand what it is they want. For the ladies who will respond, please speak from personal experience. {Jeremiah}
Your Take:
I once went on a date with a guy and had problems with many things. He was rude to the waiters, talked about his ex-girlfriend a lot, and never saw anything good about anything and seemed the type that is intimidated by a woman’s achievements. That was the last time I ever talked to him.
{Nice Wanja}
Be real and stop being Mr. Nice guy. Ladies don’t judge you by how you treat them but by knowing your vision.
Building a genuine foundation in a relationship is not easy. You should know what you want and have values. May be those ladies you date are not ready for marriage. There is a miss right out there for you.
{Charles Olanya}
Jeremiah what these ladies really need is romance and a real man. Maybe they fear that you are not functioning as a man. Try and prove to them that you are a real man who is on the right track.
{Onyango Outha}
Well, dating and waiting go hand in hand. Either you are giving up easily or you approach the wrong women. It appears though that there are things you do which either annoy or hurt the ladies. Maybe it’s how you talk.
I believe it can take some time to meet the woman of your dreams. However, bear in mind that friendship is key, rather than making them feel insecure by prematurely proposing when you could be best friends first.
{Enock Koech}
I once heard someone say that girls love bad boys. There must be some things that the ladies don’t like about you so you must fix them. Ladies do not like a man that clings to them or a man who cannot stand up and say what he wants.
Another thing you should be careful about is appearing to be too desperate. You may be doing this by showering them with money and gifts. Be genuine and let the relationships grow.
{Ouma Ragumo}
Confront one of the ladies you have formerly dated and ask to know the things that scared her away from you. You can also turn to God and pray that he gives you a loving and caring wife. Prayer can actually move mountains and you will find a good woman.
{Fred Jausenge}
Counselor’s Take:
Jeremiah, no man truly understands what women want - even Einstein didn’t figure this out otherwise we wouldn’t be having as many problems. However, there are many clues about this and they have somewhat proven to be in the right neighborhood.
Diffraction record for PrHoSc. The PXRD pattern is theoretical, not measured: it uses the GGA-PBE geometry in Alexandria and Cu Kα.
Peak positions follow from Bragg's law for the DFT cell and can differ from measured ones.

Cell and atoms:
Unit cell a=3.553 b=3.553 c=14.502 alpha=90.00 beta=90.00 gamma=90.00
Atoms (fractional coordinates):
Pr  0.250  0.250  0.095
Pr  0.750  0.750  0.905
Ho  0.250  0.250  0.725
Ho  0.750  0.750  0.275
Sc  0.250  0.250  0.431
Sc  0.750  0.750  0.569

Principal peaks in the range 10° ≤ 2θ ≤ 90°, in order of rising 2θ:
2theta	d_spacing	Rel. int.
28.0	3.191	27
31.2	2.863	100
35.7	2.513	40
47.9	1.899	15
52.5	1.742	15
61.4	1.510	28

~~~~~

[1]
Ag9Hg2Au: calculated powder XRD pattern (copper Kα), based on a DFT-relaxed cell (PBE, Alexandria).
Neutral-atom scattering factors, no anomalous dispersion.

Peak list (6 most intense, 10 to 90 degrees two-theta, sorted by position)
(hkl)	2theta	I/Imax
1 1 3	37.0	100
2 0 0	42.6	34
0 0 6	43.8	15
2 0 6	62.8	20
3 1 3	74.3	25
1 1 9	76.0	12

Atomic structure:
Lattice parameters (Å, degrees): 4.243 4.243 12.396 90.00 90.00 90.00
Space group P4/mmm (No. 123)
Asymmetric unit:
Ag  0.000  0.000  0.000 x1
Ag  0.000  0.000  0.331 x2
Ag  0.000  0.500  0.162 x4
Ag  0.000  0.500  0.500 x2
Hg  0.500  0.500  0.331 x2
Au  0.500  0.500  0.000 x1

---

[2]
Ag10HgAu: calculated powder XRD pattern (copper Kα), based on a DFT-relaxed cell (PBE, Alexandria).
Neutral-atom scattering factors, no anomalous dispersion.

Peak list (6 most intense, 10 to 90 degrees two-theta, sorted by position)
(hkl)	2theta	I/Imax
1 1 1	26.5	45
2 0 0	37.7	44
1 1 3	37.8	100
1 2 0	38.0	70
2 2 2	54.6	27
3 2 0	68.2	22

Atomic structure:
Lattice parameters (Å, degrees): 4.774 5.459 9.509 90.00 90.00 90.00
Space group Pmmm (No. 47)
Asymmetric unit:
Ag  0.000  0.000  0.000 x1
Ag  0.000  0.248  0.253 x4
Ag  0.000  0.500  0.500 x1
Ag  0.500  0.000  0.174 x2
Ag  0.500  0.500  0.341 x2
Hg  0.500  0.500  0.000 x1
Au  0.500  0.000  0.500 x1

---

[3]
Ag5HgAu5: calculated powder XRD pattern (copper Kα), based on a DFT-relaxed cell (PBE, Alexandria).
Neutral-atom scattering factors, no anomalous dispersion.

Peak list (6 most intense, 10 to 90 degrees two-theta, sorted by position)
(hkl)	2theta	I/Imax
1 2 -1	37.6	100
2 -1 1	38.3	90
-1 2 1	38.4	92
1 -2 2	39.2	31
2 0 -2	40.6	97
1 1 2	40.8	39

Atomic structure:
Lattice parameters (Å, degrees): 5.281 5.831 7.191 103.55 95.49 97.72
Space group P-1 (No. 2)
Asymmetric unit:
Ag  0.000  0.000  0.000 x1
Ag  0.082  0.727  0.627 x2
Ag  0.483  0.732  0.925 x2
Hg  0.000  0.500  0.000 x1
Au  0.225  0.235  0.710 x2
Au  0.326  0.979  0.329 x2
Au  0.500  0.500  0.500 x1

---

[4]
Ag5Hg2Au4: calculated powder XRD pattern (copper Kα), based on a DFT-relaxed cell (PBE, Alexandria).
Neutral-atom scattering factors, no anomalous dispersion.

Peak list (6 most intense, 10 to 90 degrees two-theta, sorted by position)
(hkl)	2theta	I/Imax
2 0 0	37.1	51
1 1 4	38.6	100
1 3 0	38.8	69
0 2 4	39.1	38
2 2 4	55.0	28
Most of these revolve around one’s character and personality as well as a few other basic elements. I picked out a few things that may be leading you on the wrong path which I will share as a starting point.
When dealing with ladies, it is good to have a good attitude but it is more important to have the right attitude. The right attitude is a little different from good attitude.
That stuff about being nice and gentlemanly is good but it doesn’t work. If you appear too good to be true and sort of marriage material on first date, ladies freak out and start taking you too seriously.
A little “macho” and do-not-really-care attitude helps to get things going but be careful also in how you handle her, women are wise creatures and good at playing the game as long as moment allows it.
I noted with concern that you don’t ask for sex. You are so good at shooting yourself in the foot! If you don’t seem interested in sex, again they start thinking commitment, celibacy till ring-on-finger, boring relationship and above all weak holier-than-thou-guy.
Sex is extremely essential and the earlier you get it the better – it helps you maintain the initiative (upper hand) in the relationship thereby portraying you as a domineering male – a real turn on for the ladies and a rare quality these days (I am made to understand).
One last piece of advice, drop that talk about wanting a wife and mother to your children – the last thing a beautiful 24-year-old girl in some tight jeans and a spaghetti top wants is to be transformed into the mother of “some guy’s” kids. {Taurus}